Heart problems commonly cause coughing in dogs, but other conditions, from benign irritants to serious disease, can also be the reason your dog is coughing. Our Groves Veterinary Clinic team wants to offer information about non-cardiac causes of coughing in dogs so you are prepared should your dog start coughing. 

_Records of crystals that have nothing to do with the text_
~~~
Theoretical powder diffraction line list
Compound: Sm5Dy3In2
Radiation: Cu Kα X-rays
Structure: a structure optimized by DFT (PBE)
Intensities are scaled so that the largest is 1000.

Structural model:
```
data_Sm5Dy3In2
_chemical_formula_sum 'Sm20 Dy12 In8'
_cell_length_a 13.014
_cell_length_b 15.572
_cell_length_c 6.450
_cell_angle_alpha 90.00
_cell_angle_beta 90.00
_cell_angle_gamma 90.00
_symmetry_space_group_name_H-M 'I b a m'
_symmetry_Int_Tables_number 72
_symmetry_space_group_name_Hall '-I 2 2c'
loop_
_atom_site_label
_atom_site_type_symbol
_atom_site_fract_x
_atom_site_fract_y
_atom_site_fract_z
Sm1 Sm 0.000 0.000 0.250
Sm2 Sm 0.129 0.164 0.000
Sm3 Sm 0.249 0.500 0.250
Dy1 Dy 0.000 0.500 0.250
Dy2 Dy 0.107 0.269 0.500
In1 In 0.129 0.355 0.000
```

Most intense lines, 10 to 90 degrees two-theta, by angle:
| d_spacing | 2theta | intensity | (hkl) |
| --- | --- | --- | --- |
| 3.893 | 22.84 | 213 | 0 4 0 |
| 3.435 | 25.94 | 368 | 2 3 1 |
| 3.002 | 29.76 | 962 | 4 2 0 |
| 2.980 | 29.99 | 1000 | 0 2 2 |
| 2.595 | 34.56 | 188 | 0 6 0 |
| 2.576 | 34.83 | 616 | 2 5 1 |
| 2.497 | 35.97 | 258 | 4 4 0 |
| 2.484 | 36.17 | 236 | 0 4 2 |
| 2.290 | 39.34 | 784 | 4 0 2 |
| 1.717 | 53.37 | 407 | 4 6 2 |
| 1.707 | 53.68 | 178 | 2 5 3 |
| 1.421 | 65.73 | 201 | 4 2 4 |


Theoretical powder diffraction line list
Compound: NdPd2O4
Radiation: Cu Kα X-rays
Structure: a structure optimized by DFT (PBE)
Intensities are scaled so that the largest is 1000.

Structural model:
```
data_NdPd2O4
_chemical_formula_sum 'Nd4 Pd8 O16'
_cell_length_a 5.940
_cell_length_b 5.940
_cell_length_c 10.274
_cell_angle_alpha 90.00
_cell_angle_beta 90.00
_cell_angle_gamma 90.00
_symmetry_space_group_name_H-M 'I 41/a'
_symmetry_Int_Tables_number 88
loop_
_symmetry_equiv_pos_as_xyz
'x,y,z'
'-x,-y,-z'
'-y+3/4,x+1/4,z+1/4'
'y+3/4,-x+1/4,-z+1/4'
'-x+1/2,-y,z+1/2'
'x+1/2,y,-z+1/2'
'y+3/4,-x+3/4,z+3/4'
'-y+3/4,x+3/4,-z+3/4'
'x+1/2,y+1/2,z+1/2'
'-x+1/2,-y+1/2,-z+1/2'
'-y+1/4,x+3/4,z+3/4'
'y+1/4,-x+3/4,-z+3/4'
'-x,-y+1/2,z'
'x,y+1/2,-z'
'y+1/4,-x+1/4,z+1/4'
'-y+1/4,x+1/4,-z+1/4'
loop_
_atom_site_label
_atom_site_type_symbol
_atom_site_fract_x
_atom_site_fract_y
_atom_site_fract_z
Nd1 Nd 0.000 0.250 0.125
Pd1 Pd 0.000 0.000 0.500
O1 O 0.152 0.051 0.324
```

Most intense lines, 10 to 90 degrees two-theta, by angle:
| d_spacing | 2theta | intensity | (hkl) |
| --- | --- | --- | --- |
| 3.252 | 27.43 | 245 | 1 1 2 |
| 2.967 | 30.12 | 442 | 1 0 3 |
| 2.572 | 34.89 | 1000 | 2 1 1 |
| 1.942 | 46.77 | 226 | 1 0 5 |
| 1.764 | 51.83 | 125 | 1 3 2 |
| 1.714 | 53.46 | 123 | 3 0 3 |
| 1.626 | 56.60 | 392 | 2 2 4 |
| 1.484 | 62.58 | 148 | 4 0 0 |
| 1.328 | 70.98 | 101 | 1 4 3 |
| 1.285 | 73.71 | 161 | 2 4 2 |
| 1.180 | 81.61 | 82 | 4 1 5 |
| 1.096 | 89.37 | 84 | 2 3 7 |


Theoretical powder diffraction line list
Compound: PrZr2Se4
Radiation: Cu Kα X-rays
Structure: a structure optimized by DFT (PBE)
Intensities are scaled so that the largest is 1000.

Structural model:
```
data_PrZr2Se4
~~~
_The text goes on_

Kennel cough in dogs

Kennel cough is a highly contagious respiratory disease caused by numerous pathogens, including Bordetella bronchiseptica, parainfluenza virus, adenovirus type 2, canine herpesvirus, and canine respiratory coronavirus. Important information about kennel cough includes:

  • Transmission — An infected dog sheds infectious bacteria or viral agents in their respiratory secretions. The infection is spread through direct contact, such as a dog interacting with an infected dog, by inhaling infectious airborne droplets, or from objects or surfaces that are contaminated with infectious agents. 
  • Dogs at risk — Dogs kept in crowded situations, such as boarding kennels, animal shelters, and grooming facilities, are at higher risk.
  • Signs — Signs include a loud, honking cough, nasal discharge, sneezing, lethargy, decreased appetite, and a low fever.
  • Diagnosis Diagnostics may include blood tests and nasal swabs, and chest X-rays in severe cases.
  • Treatment — Uncomplicated cases resolve on their own. Cough suppressants can help your dog rest while the infection is resolving, and antimicrobials may be necessary in severe cases.
  • Prevention Vaccinations are available for several pathogens that cause kennel cough, and dogs at high risk should be vaccinated once a year. 

Chronic bronchitis in dogs

Chronic bronchitis is an inflammatory, non-infectious, non-contagious condition that typically affects the mucosal lining of the dog’s trachea and bronchi. In most cases, the causative agent is unidentified. Important information about chronic bronchitis in dogs includes:

**Misplaced records of crystals**
- - -
Diffraction record for Co7Ni4. The PXRD pattern is computed, not measured: it uses a cell relaxed with GGA-PBE and λ = 1.5418 Å (Cu Kα).

Main lines, in order of falling intensity (2θ from 5° to 70°):
2θ (°)  I (rel.)
40.40  100
49.59  65
42.62  39
49.46  35
36.94  29
56.83  24
55.05  20
15.79  18
67.31  18
48.67  8
65.05  7
31.89  4

Crystal structure
```
data_Co7Ni4
_symmetry_space_group_name_H-M 'P -6 m 2'
_symmetry_Int_Tables_number 187
_symmetry_space_group_name_Hall 'P -6 2'
_cell_length_a 6.4803
_cell_length_b 6.4803
_cell_length_c 3.6853
_cell_angle_alpha 90.00
_cell_angle_beta 90.00
_cell_angle_gamma 120.00
loop_
_atom_site_label
_atom_site_fract_x
_atom_site_fract_y
_atom_site_fract_z
_atom_site_occupancy
Co1 0.0000 0.0000 0.0000 1
Co2 0.2031 0.4062 0.5000 1
Co3 0.5348 0.0695 0.0000 1
Ni1 0.3333 0.6667 0.0000 1
Ni2 0.3989 0.1995 0.5000 1
```

* * * * *

Starting from a PBE-relaxed structure, the powder X-ray diffraction pattern of BaNb2Xe5F22 was computed for Cu Kα (λ = 1.5418 Å).
Lines closer than 0.1° are merged.

Atomic structure:
Cell lengths 12.4630, 14.1320, 14.3903 Å; angles 90.00, 90.00, 90.00 degrees
Space group Fmmm (No. 69)
Inequivalent atoms, fractional coordinates:
Ba: 0.0000 0.0000 0.0000
Nb: 0.2500 0.0000 0.2500
Xe: 0.0000 0.0000 0.5000
Xe: 0.0000 0.2500 0.2500
Xe: 0.2500 0.2500 0.0000
F: 0.0000 0.1463 0.5000
F: 0.0000 0.1800 0.1233
F: 0.1238 0.0000 0.1690
F: 0.1836 0.0969 0.3258
F: 0.1864 0.1142 0.0000

Largest 12 diffraction maxima, sorted by position, 10 to 90 degrees two-theta:
two_theta  I_rel  index
22.7  100  2 2 2
24.7  18  0 0 4
25.2  13  0 4 0
28.7  14  4 0 0
35.6  13  0 4 4
38.2  13  4 0 4
38.5  10  4 4 0
42.4  17  2 2 6
42.9  18  2 6 2
46.3  15  4 4 4
47.3  13  6 2 2
56.7  10  2 6 6


Starting from a PBE-relaxed structure, the powder X-ray diffraction pattern of Ba4Nd3F17 was computed for Cu Kα (λ = 1.5418 Å).
Lines closer than 0.1° are merged.

Atomic structure:
Cell lengths 9.5748, 9.5919, 9.6558 Å; angles 73.02, 72.87, 73.08 degrees
Space group P1 (No. 1)
Inequivalent atoms, fractional coordinates:
Ba: 0.0000 0.0000 0.0000
Ba: 0.0418 0.6305 0.7850
Ba: 0.4243 0.8409 0.6905
Ba: 0.4701 0.4698 0.4679
Ba: 0.6238 0.7843 0.0461
Ba: 0.6797 0.4265 0.8466
Ba: 0.7816 0.0485 0.6272
Ba: 0.8424 0.6825 0.4207
Nd: 0.1206 0.2702 0.5745
Nd: 0.2011 0.8946 0.3453
Nd: 0.2577 0.5593 0.1255
Nd: 0.3383 0.2111 0.9037
Nd: 0.5758 0.1271 0.2663
Nd: 0.9143 0.3490 0.1979
F: 0.0031 0.5725 0.1405
F: 0.0709 0.2859 0.9719
F: 0.0909 0.7792 0.2249
F: 0.1438 0.0362 0.5280
F: 0.1807 0.4839 0.3922
F: 0.1844 0.7562 0.9119
F: 0.1943 0.3099 0.1814
F: 0.2255 0.0929 0.7766
F: 0.2433 0.3802 0.6887
F: 0.2758 0.9988 0.0843
F: 0.2815 0.7182 0.5568
F: 0.3251 0.4580 0.9096
F: 0.3750 0.6893 0.2452
F: 0.3837 0.1951 0.4701
F: 0.4357 0.9437 0.3161
F: 0.4693 0.6503 0.9532
F: 0.4769 0.3885 0.1884
F: 0.5164 0.9993 0.8238
F: 0.5312 0.1578 0.0305
F: 0.5550 0.2835 0.7158
F: 0.5957 0.5981 0.5963
F: 0.6486 0.9487 0.4760
F: 0.6959 0.2458 0.3763
F: 0.7135 0.5563 0.2828
- - -

  • Dogs at risk — Chronic bronchitis most commonly affects middle-aged to older dogs, and breeds at higher risk include West Highland white terriers and cocker spaniels. Excess weight tends to exacerbate the condition.
  • Signs — The most common sign is a harsh, dry cough, often followed by gagging, that persists for more than a month. As the disease progresses, other signs include exercise intolerance, noisy breathing, and fainting after exertion.
  • Diagnosis — Diagnostics include blood work, chest X-rays, bronchoscopy, and tracheal lavage to obtain samples for cytology and culture.
  • Treatment — Treatment typically includes cough suppressants, bronchodilators, and corticosteroids.
  • Prevention — Although chronic bronchitis can’t be prevented, prompt diagnosis can help you manage your dog’s coughing.

Tracheal collapse in dogs

The trachea is a rigid but flexible tube consisting of muscles that connect cartilage rings. These rings are incomplete, and form a C, with the open end facing the dog’s back. When the cartilage rings weaken (i.e., tracheomalacia), the structure can’t hold the rigid C-shape, and the ring flattens, eventually leading to tracheal collapse, which severely compromises your dog’s airway. In addition, the collapse causes increased secretion and inflammation inside the trachea that results in more problems. Important information about tracheal collapse includes:

  • Dogs at risk — Middle-aged to older small-breed dogs, such as Yorkshire terriers, Pomeranians, poodles, and Chihuahuas, are most commonly affected. Overweight dogs and those who live in a household with a smoker are also at higher risk.
  • Signs — Signs include a harsh, dry cough, coughing when picked up, exercise intolerance, coughing when excited, fainting, and difficulty breathing.
  • Diagnosis — Diagnostics include blood work and chest X-rays. However, the tracheal collapse isn’t always visible on regular X-rays and a specialized technique, called fluoroscopy, is sometimes necessary. An endoscopy may also be useful to look inside the trachea.
  • Treatment — Mild cases can be addressed medically, including weight loss and medications to reduce airway spasm and inflammation, and anxiety. In more severe cases, and in cases where medical management isn’t sufficient, surgery may be necessary to open the airway.
  • Prevention — Tracheal collapse can’t be prevented, but keeping your dog at a healthy weight can help decrease their risk.

~~~
1.
This entry pairs a crystal structure of Rb3Au7 with its computed X-ray diffraction stick pattern. Radiation: Cu Kα (weighted mean of Kα1 and Kα2). Structure: a structure optimized by DFT (GGA-PBE).

Largest 12 diffraction maxima, sorted by position, 2θ = 10–80°:
- 2θ = 12.01°, d = 7.369 Å, I 35
- 2θ = 16.83°, d = 5.267 Å, I 100
- 2θ = 17.69°, d = 5.013 Å, I 31
- 2θ = 27.82°, d = 3.207 Å, I 52
- 2θ = 29.59°, d = 3.019 Å, I 29
- 2θ = 34.04°, d = 2.633 Å, I 28
- 2θ = 35.04°, d = 2.561 Å, I 28
- 2θ = 35.82°, d = 2.507 Å, I 54
- 2θ = 40.52°, d = 2.226 Å, I 30
- 2θ = 41.20°, d = 2.191 Å, I 25
- 2θ = 48.93°, d = 1.862 Å, I 31
- 2θ = 57.46°, d = 1.604 Å, I 31

Atomic structure:
```
Rb3Au7
1.0
2.853 -6.840 0.000
2.853 6.840 0.000
0.000 0.000 7.369
Rb Au
3 7
Direct
0.000 0.000 0.000
0.162 0.838 0.500
0.838 0.162 0.500
0.000 0.500 0.000
0.392 0.608 0.197
0.392 0.608 0.803
0.500 0.000 0.000
0.500 0.500 0.500
0.608 0.392 0.197
0.608 0.392 0.803
```

=====

2.
This entry pairs a crystal structure of LaSn2Ge2Pt7 with its computed X-ray diffraction stick pattern. Radiation: Cu Kα (weighted mean of Kα1 and Kα2). Structure: a structure optimized by DFT (GGA-PBE).

Largest 12 diffraction maxima, sorted by position, 2θ = 10–80°:
- 2θ = 22.47°, d = 3.958 Å, I 34
- 2θ = 28.16°, d = 3.168 Å, I 28
- 2θ = 32.27°, d = 2.774 Å, I 46
- 2θ = 33.77°, d = 2.655 Å, I 42
- 2θ = 36.13°, d = 2.486 Å, I 100
- 2θ = 39.24°, d = 2.296 Å, I 35
- 2θ = 39.83°, d = 2.263 Å, I 29
- 2θ = 42.96°, d = 2.105 Å, I 45
- 2θ = 45.53°, d = 1.992 Å, I 75
- 2θ = 47.17°, d = 1.927 Å, I 33
- 2θ = 62.06°, d = 1.495 Å, I 32
- 2θ = 66.36°, d = 1.409 Å, I 25

Atomic structure:
```
LaSn2Ge2Pt7
1.0
2.817 -2.818 0.000
2.817 2.818 0.000
-2.787 0.000 15.842
La Sn Ge Pt
1 2 2 7
Direct
0.000 0.000 0.000
0.213 0.213 0.427
0.787 0.787 0.573
0.379 0.379 0.757
0.621 0.621 0.243
0.073 0.573 0.148
0.300 0.300 0.602
0.427 0.927 0.852
0.500 0.500 0.000
0.573 0.073 0.148
0.700 0.700 0.398
0.927 0.427 0.852
```

=====

3.
This entry pairs a crystal structure of Sc4Zn2Cd5 with its computed X-ray diffraction stick pattern. Radiation: Cu Kα (weighted mean of Kα1 and Kα2). Structure: a structure optimized by DFT (GGA-PBE).

Largest 12 diffraction maxima, sorted by position, 2θ = 10–80°:
- 2θ = 26.39°, d = 3.377 Å, I 100
- 2θ = 31.95°, d = 2.801 Å, I 35
- 2θ = 34.51°, d = 2.599 Å, I 57
- 2θ = 35.41°, d = 2.535 Å, I 61
- 2θ = 35.95°, d = 2.498 Å, I 41
- 2θ = 36.31°, d = 2.474 Å, I 33
- 2θ = 36.98°, d = 2.431 Å, I 47
- 2θ = 37.69°, d = 2.387 Å, I 40
- 2θ = 39.01°, d = 2.309 Å, I 45
- 2θ = 39.79°, d = 2.265 Å, I 38
- 2θ = 40.18°, d = 2.244 Å, I 35
- 2θ = 54.33°, d = 1.689 Å, I 35

Atomic structure:
```
Sc4Zn2Cd5
1.0
7.438 0.000 0.000
0.000 3.378 0.000
-0.611 0.000 9.318
Sc Zn Cd
4 2 5
Direct
0.172 0.000 0.366
0.244 0.000 0.936
0.756 0.000 0.064
0.828 0.000 0.634
0.064 0.500 0.130
0.936 0.500 0.870
0.175 0.500 0.652
0.445 0.500 0.181
0.500 0.500 0.500
0.555 0.500 0.819
0.825 0.500 0.348
```

=====

4.
~~~

Laryngeal paralysis in dogs

A Dalmatian dog wearing a red harness, likely checked by a veterinarian, walks on grass in a park. The dog showcases its white coat with black spots as it's captured mid-step with its mouth open. Trees and greenery blur in the background, highlighting the peaceful scene.

The larynx functions to close off the trachea during eating and drinking. Normally, laryngeal muscles open the trachea during inhalation, and relax during exhalation. When these muscles are weak or paralyzed, the larynx collapses inwards, creating noise when the dog breathes, and eventually obstructing their airway. Laryngeal paralysis may be caused by trauma, endocrine disorders, congenital conditions, and a disease called geriatric onset laryngeal paralysis and polyneuropathy (GOLPP). Important information about laryngeal paralysis includes:

  • Dogs at risk — Breeds most commonly affected include Labrador retrievers, Siberian huskies, bull terriers, and Dalmatians. 
  • Signs — The most frequently reported sign is coughing after exercise, or eating or drinking. Other signs include noisy breathing and difficulty breathing. In severe cases, the dog may develop respiratory distress and collapse, and death is possible.
  • Diagnosis — Endoscopic examination of the dog’s laryngeal region is necessary to diagnose laryngeal paralysis.
  • Treatment — Mild cases can be managed medically, including anti-inflammatory medications, antibiotics to control secondary infections, and sedatives. In addition, affected dogs should avoid hot environments and strenuous exercise, which exacerbates the condition. In more severe cases, surgery is needed to secure the collapsed tissue to keep the airway open.
  • Prevention — Laryngeal collapse can’t be prevented.

Many different issues can cause coughing in dogs, and the source must be determined to address the issue appropriately. If your dog is coughing, contact our Groves Veterinary Clinic team, so we can discover the problem and devise an effective treatment plan.